Its crunch time in the primary for California governor, with candidates exploring creative strategies and benefiting from massive spending as they try to tear down — or lift up — their rivals in the race's final days.
Six major candidates are vying to replace term-limited Democratic Gov. Jerry Brown as leader of the nation's most populous state, a liberal stronghold that has taken an outsized role in combating President Donald Trump and his policies on immigration, climate change and more.
The jockeying is especially intense for Republican John Cox, who's embraced an endorsement from Trump, and Democrat Antonio Villaraigosa, a former Los Angeles mayor who's appealing to Latino voters. Polls show they are in a tough fight for the second of two slots on the general election ballot.
Democratic Lt. Gov. Gavin Newsom is the undisputed front-runner and is expected to advance Tuesday. In California primaries, voters choose from candidates of all parties and the top two finishers, regardless of party, advance to the general election.
"The race for second place is so close that just a marginal uptick in either Latino voter turnout or Republican turnout could sway the election," said Brad Jones, a University of California, Davis, political science professor who specializes in Latino voting.
Republican Travis Allen and Democrats John Chiang and Delaine Eastin have smaller but enthusiastic bases of support they hope will push them into second place.
### Records of crystals from another source follow
Entry from Alexandria via LeMat-Bulk: crystalline ErMnIn2 at its relaxed geometry (GGA-PBE).

Summary:
- N(E_F) (states/eV/f.u.) = 3.5
- ΔE_f (meV/atom) = -43
- SG = R-3m, No. 166

Cell: 4.600 4.600 5.752 Å, 66.43 66.43 60.00°
Each line ends with the local moment (μB).
Element x y z (fractional)
Mn 0.500 0.500 0.500  3.58
Er 0.000 0.000 0.000  -0.15
In 0.773 0.773 0.680  -0.04
In 0.227 0.227 0.320  -0.04

=====

Entry from Alexandria via LeMat-Bulk: crystalline Er6Mn2In at its relaxed geometry (GGA-PBE).

Summary:
- N(E_F) (states/eV/f.u.) = 9.0
- ΔE_f (meV/atom) = -99
- SG = Immm, No. 71

Cell: 8.359 8.359 8.359 Å, 107.30 110.14 110.99°
Each line ends with the local moment (μB).
Element x y z (fractional)
Mn 0.500 0.394 0.894  0.99
Mn 0.386 0.000 0.386  1.50
Mn 0.500 0.606 0.106  0.99
Mn 0.614 0.000 0.614  1.50
Er 0.782 0.232 0.014  0.02
Er 0.522 0.713 0.809  -0.10
Er 0.218 0.768 0.986  0.02
Er 0.293 0.981 0.688  -0.09
Er 0.293 0.605 0.312  -0.09
Er 0.218 0.232 0.450  0.02
Er 0.782 0.768 0.550  0.02
Er 0.905 0.713 0.191  -0.10
Er 0.707 0.019 0.312  -0.09
Er 0.478 0.287 0.191  -0.10
Er 0.095 0.287 0.809  -0.10
Er 0.707 0.395 0.688  -0.09
In 0.000 0.000 0.000  0.00
In 0.000 0.500 0.500  0.01

----------

# Ac5NdSe8

Crystalline Ac5NdSe8 at its relaxed geometry (PBE, the Alexandria database).

The structure in extended XYZ format:
```
14
Lattice="-4.695 4.695 4.609 4.695 -4.695 4.609 4.695 4.695 -4.609" Properties=species:S:1:pos:R:3 pbc="T T T"
Ac 0.000 0.000 0.000
Ac 2.344 3.401 -1.156
Ac 5.990 2.344 1.156
Ac 2.352 1.295 3.454
Ac -1.295 2.352 5.765
Nd 0.000 4.695 2.305
Se 3.099 0.693 0.438
Se 5.355 3.028 -1.850
Se 4.003 -1.597 4.171
Se -0.659 1.668 2.759
Se 0.693 6.292 -0.438
Se 3.028 4.036 1.850
Se 1.668 0.659 6.459
Se 1.597 4.003 5.048
```

Properties
Total DFT energy (no corrections) = -5.750 eV per atom
Space-group type = I-4 (82)
N(E_F) = 9.65 states/eV per cell
ΔE_f (raw) = -1.9506 eV/atom

# V2InHBr

Crystalline V2InHBr at its relaxed geometry (PBE, the Alexandria database).

The structure in extended XYZ format:
```
5
Lattice="5.408 0.000 0.000 0.000 5.408 0.000 0.000 0.000 6.023" Properties=species:S:1:pos:R:3 pbc="T T T"
V 0.000 2.704 0.000
V 2.704 0.000 0.000
In 0.000 0.000 0.000
H 2.704 2.704 3.012
Br 0.000 0.000 3.012
```

Properties
Total DFT energy (no corrections) = -3.550 eV per atom
Space-group type = P4/mmm (123)
Cox is getting a boost from both sides of the political aisle. Trump endorsed him, potentially generating Republican enthusiasm and helping unify the party's small slice of voters.
Republicans are far outnumbered in California, but Cox hopes that capturing the lion's share of their votes will lift him past Villaraigosa and the divided Democratic Party in the primary.
Newsom is angling to take on a Republican, assuming it will be an easier path to victory.
Villaraigosa, meanwhile, is working furiously to keep Cox at bay by promoting lesser-known Republicans. And he's benefiting from a barrage of spending by charter school advocates.
Wealthy donors chipped in an additional $4.5 million to an independent political committee created by charter school supporters to support Villaraigosa, bringing the group's total contributions to more than $22 million.
The group has aired and mailed ads targeted to Republicans that link Cox to Democrats despised on the right — Hillary Clinton and House Minority Leader Nancy Pelosi — while promoting Allen. The mailer drew an ethics complaint from Cox's campaign.
Villaraigosa, who would be the first Hispanic governor since 1875, is relying on strong support from Latino voters. In the past week, he's campaigned in Boyle Heights, a Latino area of Los Angeles where he grew up, the Central Valley and the border with Mexico.
"We are not a nation that divides mother from daughter, father from son, families from their parents. We're better than that," Villaraigosa said in San Diego, next to a chain-link and razor-wire border fence.
He began airing a television ad last weekend showing cellphone video of a screaming mother being detained by Border Patrol agents.
[Unrelated to this article: calculated crystals]
____________
# 1
RbZrCu3Te4 | PBE | relaxed

POSCAR file:
```
RbZrCu3Te4
1.0
6.715 0.000 0.000
0.000 6.715 0.000
0.000 0.000 6.715
Rb Te Zr Cu
1 4 1 3
Cartesian
0.000 0.000 0.000
1.815 1.815 1.815
1.815 4.901 4.901
4.901 4.901 1.815
4.901 1.815 4.901
3.358 3.358 3.358
3.358 3.358 0.000
3.358 0.000 3.358
0.000 3.358 3.358
```

Calculated values
**Polymorph energy (0 for the lowest one)**: 1.65 eV per formula unit

# 2
ZrFeSiAg | PBE | relaxed

POSCAR file:
```
ZrFeSiAg
1.0
-3.701 -1.847 1.803
-3.341 -1.427 -2.675
-0.777 -4.419 -0.477
Fe Zr Si Ag
1 1 1 1
Cartesian
-5.864 -5.770 -1.012
-1.955 -1.923 -0.337
0.000 0.000 0.000
-3.910 -3.846 -0.674
```

Calculated values
**Polymorph energy (0 for the lowest one)**: 0.00 eV per formula unit

# 3
SrPrO3 | PBE | relaxed

POSCAR file:
```
SrPrO3
1.0
1.747 2.313 -5.618
-2.379 -5.826 0.610
-9.681 3.801 -1.445
O Pr Sr
12 4 4
Cartesian
-6.218 3.775 -5.639
-5.043 0.772 -2.332
-7.755 2.451 -3.103
0.147 0.880 -4.139
-0.429 -2.384 -3.399
-7.007 -1.947 -1.799
-2.321 -0.847 -1.475
-6.906 0.709 -4.817
-3.643 -1.736 -3.513
-3.351 1.983 -5.016
-10.414 -0.338 -1.953
-4.095 -3.486 -0.815
-2.092 -3.157 -2.088
-4.821 -1.299 -1.467
-8.352 2.711 -5.414
-5.359 2.323 -3.939
-0.045 -0.252 -0.359
-2.194 0.264 -3.685
-8.119 0.024 -2.769
-5.427 -1.360 -5.372
```

Calculated values
**Total energy**: -134.2 eV per cell

----------

Entry 1:
Material: K2AgSe
Method: DFT, GGA-PBE
State: optimized geometry

Computed properties:
* relative energy among the computed polymorphs: 0.056 eV per atom
* theoretical density: 3.364 g/cm3
* ΔE_f (raw): -0.4547 eV/atom

Unit cell a=6.678 b=6.678 c=6.678 alpha=141.63 beta=134.33 gamma=61.13
Fractional coordinates of all 4 atoms:
Ag 0.312 0.812 0.500
K 0.012 0.012 0.000
K 0.727 0.227 0.500
Se 0.449 0.449 0.000

Entry 2:
Material: K2AgSe
Method: DFT, GGA-PBE
State: optimized geometry

Computed properties:
* relative energy among the computed polymorphs: 0.362 eV per atom
* theoretical density: 2.935 g/cm3
* ΔE_f (raw): -0.1483 eV/atom

Unit cell a=5.387 b=5.387 c=11.011 alpha=75.84 beta=75.84 gamma=90.00
Fractional coordinates of all 8 atoms:
K 0.605 0.125 0.250
K 0.145 0.625 0.250
K 0.375 0.395 0.750
K 0.875 0.855 0.750
Se 0.500 0.500 0.000
Se 0.250 0.750 0.500
Ag 0.000 0.000 0.000
Ag 0.750 0.250 0.500

Entry 3:
Material: KAgSe3
Method: DFT, GGA-PBE
State: optimized geometry

Computed properties:
* relative energy among the computed polymorphs: 0.343 eV per atom
* theoretical density: 4.508 g/cm3
* ΔE_f (raw): -0.0381 eV/atom

Unit cell a=5.209 b=5.209 c=5.209 alpha=90.00 beta=90.00 gamma=90.00
Fractional coordinates of all 5 atoms:
K 0.500 0.500 0.500
Se 0.000 0.500 0.000
Se 0.000 0.000 0.500
Se 0.500 0.000 0.000
Ag 0.000 0.000 0.000

Entry 4:
Material: K2AgSe
Method: DFT, GGA-PBE
State: optimized geometry

Computed properties:
* relative energy among the computed polymorphs: 0.083 eV per atom
* theoretical density: 3.547 g/cm3
* ΔE_f (raw): -0.4274 eV/atom
____________
Cox is campaigning in conservative areas of California where he will need strong turnout. The attorney, accountant and investor from San Diego held events this week in Bakersfield, Fresno and Stockton, where he's touting his endorsement from Trump.
"We have a businessman in the White House, we're now going to get a businessman in the governor's mansion," he told reporters and several dozen Republicans at the Sacramento County GOP headquarters last week.
Polls show Newsom with a comfortable lead and an unpredictable contest for second place. The Public Policy Institute of California pegged Newsom's support at 25 percent, followed by Cox at 19 percent, Villaraigosa at 15 percent and Allen at 11 percent. Chiang had 9 percent, and Eastin, 6 percent.
The survey of 901 likely voters was conducted May 11-20 and had a margin of error of 4.1 percentage points.
Newsom, who has been open about his preference to face a Republican in November, is taking heat from Villaraigosa and other Democrats for his strategy of lifting up Cox.
Some Democrats believe a lively race between two Democrats would ensure left-leaning voters are engaged in November and will help the party's candidates in close contests for the U.S. House.
Newsom has pushed back, suggesting a Democrat-on-Democrat fight would be a nasty, expensive affair that would depress party supporters.
Newsom kicked off a statewide bus tour Tuesday at San Francisco City Hall, where he began his political career as a supervisor and mayor. The tour so far has included stops in San Jose, Santa Barbara and Burbank.